micropyle in English

a small opening in the surface of an ovule, through which the pollen tube penetrates, often visible as a small pore in the ripe seed.
It remains to be studied exactly how the pollen tubes reach the micropyle of the ovules.

Use "micropyle" in a sentence

Below are sample sentences containing the word "micropyle" from the English Dictionary. We can refer to these sentence patterns for sentences in case of finding sample sentences with the word "micropyle", or refer to the context using the word "micropyle" in the English Dictionary.

1. The histoblasts accumulate at the villus near the micropyle. The other cell types orientate in a three-dimensional pattern at the micropyle, according to a developing gradient.

• Misplaced materials data:
=====
(1)
This record from Alexandria via LeMat-Bulk describes an optimized crystal structure of KPuO2. The functional is PBE.

## Properties
D(E_F)   1.0245 states/eV/atom
Formation energy (no corrections)   -231.3 kJ/mol of atoms
Calculated volume   69.4 Å³/f.u.

Cell lengths 3.568, 3.568, 12.587 Å; angles 90.00, 90.00, 120.00 degrees
Site moments in Bohr magnetons follow the coordinates.
Element x y z (fractional)
O1 0.667 0.333 0.907  -0.10
Pu1 0.000 0.000 0.000  5.00
O2 0.333 0.667 0.407  -0.10
O3 0.667 0.333 0.593  -0.10
K1 0.667 0.333 0.250  0.01
Pu2 0.000 0.000 0.500  5.00
K2 0.333 0.667 0.750  0.01
O4 0.333 0.667 0.093  -0.10



(2)
This record from Alexandria via LeMat-Bulk describes an optimized crystal structure of KTiSb2. The functional is PBE.

## Properties
D(E_F)   0.6791 states/eV/atom
Formation energy (no corrections)   9.2 kJ/mol of atoms
ΔE to the lowest computed polymorph   39.32 kJ per mole of atoms
Calculated volume   102.1 Å³/f.u.

Cell lengths 5.246, 5.246, 5.246 Å; angles 60.00, 60.00, 60.00 degrees
Element x y z (fractional)
Ti1 0.500 0.500 0.500
Sb1 0.250 0.250 0.250
Sb2 0.750 0.750 0.750
K1 0.000 0.000 0.000

~~~~~

# 1
# GGA-PBEsol Mg2SeS, optimized geometry
data_Mg2SeS
_chemical_formula_sum 'Mg4 Se2 S2'
_space_group_name_H-M_alt 'P 1'
_space_group_IT_number 1
_cell_length_a 7.088
_cell_length_b 7.088
_cell_length_c 7.088
_cell_angle_alpha 131.70
_cell_angle_beta 131.70
_cell_angle_gamma 70.71
loop_
_space_group_symop_operation_xyz
'x,y,z'
loop_
_atom_site_label
_atom_site_type_symbol
_atom_site_fract_x
_atom_site_fract_y
_atom_site_fract_z
Mg1 Mg 0.109 0.625 0.984
Mg2 Mg 0.375 0.359 0.484
Mg3 Mg 0.641 0.125 0.016
Mg4 Mg 0.875 0.891 0.516
Se1 Se 0.250 0.750 0.500
Se2 Se 0.500 0.500 0.000
S1 S 0.000 0.000 0.000
S2 S 0.750 0.250 0.500
# uncorrected formation energy	-125.7	kJ per mole of atoms
# mass density	2726	kg/m³

=====

# 2
# GGA-PBEsol MgSeS2, optimized geometry
data_MgSeS2
_chemical_formula_sum 'Mg1 Se1 S2'
_space_group_name_H-M_alt 'P 1'
_space_group_IT_number 1
_cell_length_a 8.425
_cell_length_b 8.425
_cell_length_c 8.425
_cell_angle_alpha 24.17
_cell_angle_beta 24.17
_cell_angle_gamma 24.17
loop_
_space_group_symop_operation_xyz
'x,y,z'
loop_
_atom_site_label
_atom_site_type_symbol
_atom_site_fract_x
_atom_site_fract_y
_atom_site_fract_z
Mg1 Mg 0.000 0.000 0.000
Se1 Se 0.500 0.500 0.500
S1 S 0.104 0.104 0.104
S2 S 0.896 0.896 0.896
# uncorrected formation energy	15.7	kJ per mole of atoms
# mass density	3156	kg/m³

=====

# 3
# GGA-PBEsol MgSiS3, optimized geometry
data_MgSiS3
_chemical_formula_sum 'Mg1 Si1 S3'
_space_group_name_H-M_alt 'P 1'
_space_group_IT_number 1
_cell_length_a 4.503
_cell_length_b 4.503
_cell_length_c 4.503
_cell_angle_alpha 90.00
_cell_angle_beta 90.00
_cell_angle_gamma 90.00
loop_
_space_group_symop_operation_xyz
'x,y,z'
loop_
_atom_site_label
_atom_site_type_symbol
_atom_site_fract_x
_atom_site_fract_y
_atom_site_fract_z
Mg1 Mg 0.000 0.000 0.000
Si1 Si 0.500 0.500 0.500
=====

2. (b) Coleorhiza, coleoptile (c) seed coat, testa (d) micropyle (e) starch

3. Brachysclereids in the Carpellary micropyle region (i.e., region immediately adjacent to the integumentary micropyle) are shorter than those in other parts of the endocarp, and the macrosclereids in this region are not elongated

4. Chalaza (plural Chalazas or Chalazae) ( botany ) The location where the nucellus attaches to the integuments , opposite the micropyle

5. In third stage, at maturing of the embryo sac, pollen tubes grow directionally toward micropyle into embryo sac.

6. Solution: In orthotropous ovule (also called Atropous or erect ovule) chalaza, micropyle and funicle lie in a straight line

7. (ii) Chalazogamy (Basigamy): In this case the pollen tube enters the ovule from chalazal end; however the entry into the embryo sac occurs through micropyle

8. Based on the position of micropyle and ovule orientation with respect to the funicle, there are five types of ovules as orthotropous or Atropous, anAtropous, campylotropous, amphitropous and hemianAtropous

[Here the entry breaks off for calculated crystals]
____________
This record from the Open Quantum Materials Database describes an optimized crystal structure of ZrBeCuGe. The functional is PBE.

Structure (POSCAR):
```
ZrBeCuGe
1.0
0.000 3.103 3.103
3.103 0.000 3.103
3.103 3.103 0.000
Zr Be Cu Ge
1 1 1 1
Cartesian
0.000 0.000 0.000
4.654 4.654 4.654
3.103 3.103 3.103
1.551 1.551 1.551
```

Output
Space group: F-43m
Final energy, eV per atom: -5.111
____________

9. Acrogamy; Answer: B; Explaination: Explanation: Chalazogamy is a type of fertilization in which the pollen tube penetrates into the embryo sac through the chalaza instead of entering through the micropyle (porogamy)

10. An orthotropous [Atropous] ovule is one in which no curvature takes place during development; the micropyle is positioned opposite the funiculus base, and the vasculature traverses from the base of the funiculus to the chalazal nucellar region

11. Definition of Antipodal (Entry 2 of 2) : any of three haploid cells in most angiosperms that are grouped at the end of the embryo sac farthest from the micropyle — called also Antipodal cell Synonyms & Antonyms for Antipodal

12. Orthotropous (Atropous) This is where the body of these ovules is straight so that the chalaza, where the nucellus and integuments merge, the funicle, which attaches the ovule to the placenta, and the micropyle are all aligned

13. – Acrogamy porogama, or porogamy, is defined as the process in which the ovum is provided with a micro-pilar canal; – there is a process of Acrogamy aporogama, or aporogamy, when instead the micropyle is missing (Cynomorium coccineum L., Ficus carica L.).

14. Caruncle a small, fleshy swelling, such as the lacrimal Caruncle which is the red prominance at the inner corner of the eye. a wart-like growth present on the seeds of some ANGIOSPERMS, such as the castor oil plant, near to the MICROPYLE